Overview of Gout
Gout is a form of inflammatory arthritis that can affect anyone and is extremely painful. It usually starts affecting one joint at a time (usually the big toe joint).
Gout is characterized by sudden severe pain attacks in which you feel like your foot is on fire. These sudden bursts of pain are called flares. They occur when the symptoms get worse. Flares are usually followed by remission. This is a phase when there are no symptoms.
Repeated bursts of gout can lead to gouty arthritis which is a complex form of arthritis. Through proper care and medication, this disease can be treated.
Signs and Symptoms of Gout
Gout usually occurs in one joint at a time. The most commonly affected area of gout is the big toe but it can occur in other joints as well. The other affected areas can be the ankle, knee, and other toe joints.
Look out for these symptoms of gout:
- Very intense pain in the joint - apart from the big toe, the other affected area can be the knees, elbows, wrists, and fingers. The intense pain lasts for about four to twelve hours after it begins.
- Swelling - the affected joint becomes swollen, warm, and tender
- Limited movement - as the pain starts to build up, you may not be able to move and function properly.
- Long-lasting - the pain lingers for a longer period even if it is not severe. It creates a general feeling of discomfort.
Immediately consult your general physician if you feel any of the above-mentioned signs and symptoms. Untreated gout can lead to worsened pain and permanent joint damage.
Types of Gout
Some more-severe types of gout are:
- Recurrent Gout - gout can occur with or without any symptoms. You can have multiple gout attacks randomly. Medications can help with this recurrent gout.
- Advanced Gout - untreated gout causes several urate crystals deposits under the skin. They are generally not painful but become tender and swollen during a gout attack.
Another complication of gout is kidney stones. Urate crystals can cause kidney stones in some people.
Misplaced data records.
-- begin --
Record 1
Entry from Alexandria: a geometry-optimized Nb3Zn4Cu2 structure (PBE).

- E: -172.969 eV for the cell shown
- N(E_F): 31.93 states/eV per cell

Cell: 7.437 12.911 5.693 Å, 90.00 90.00 90.00°
Space group Cccm (No. 66)
Unique sites:
Nb 0.000 0.000 0.250 (multiplicity 4)
Nb 0.000 0.330 0.250 (multiplicity 8)
Zn 0.165 0.165 0.000 (multiplicity 8)
Zn 0.166 0.498 0.500 (multiplicity 8)
Cu 0.168 0.167 0.500 (multiplicity 8)

Record 2
Entry from Alexandria: a geometry-optimized NbZn2Cu2 structure (PBE).

- E: -41.336 eV for the cell shown
- N(E_F): 6.59 states/eV per cell
- Energy relative to the lowest polymorph listed for this composition: 0.015 eV per atom

Cell: 7.325 7.325 2.637 Å, 90.00 90.00 90.00°
Space group P4/mbm (No. 127)
Unique sites:
Nb 0.000 0.000 0.000 (multiplicity 2)
Zn 0.126 0.374 0.000 (multiplicity 4)
Cu 0.173 0.673 0.500 (multiplicity 4)


# 1
Compound: La6AsPt2I3
Source: the Alexandria database
Functional: PBE-GGA
Structure: optimized geometry

* DOS at the Fermi energy: 0.94 states/eV per atom
* formation energy (no corrections): -1.2404 eV/atom

a b c (Å): 7.607 13.218 8.328
angles (deg): 90.00 107.73 90.00
Space group C2/m (No. 12)
Inequivalent atoms, fractional coordinates:
La: 0.220 0.000 0.195 x4
La: 0.240 0.328 0.195 x8
As: 0.000 0.500 0.000 x2
Pt: 0.000 0.167 0.000 x4
I: 0.000 0.000 0.500 x2
I: 0.000 0.339 0.500 x4

=====

# 2
Compound: La6As2PtI3
Source: the Alexandria database
Functional: PBE-GGA
Structure: optimized geometry

* DOS at the Fermi energy: 0.77 states/eV per atom
* formation energy (no corrections): -1.3019 eV/atom

a b c (Å): 7.690 13.264 8.034
angles (deg): 90.00 108.76 90.00
Space group C2/m (No. 12)
Inequivalent atoms, fractional coordinates:
La: 0.231 0.163 0.204 x8
La: 0.240 0.500 0.210 x4
As: 0.000 0.334 0.000 x4
Pt: 0.000 0.000 0.000 x2
I: 0.000 0.173 0.500 x4
I: 0.000 0.500 0.500 x2

=====

# 3
Compound: La8As3PtI4
Source: the Alexandria database
Functional: PBE-GGA
Structure: optimized geometry

* DOS at the Fermi energy: 0.63 states/eV per atom
* formation energy (no corrections): -1.3303 eV/atom

a b c (Å): 8.8395 8.8395 23.1122
angles (deg): 90.00 90.00 120.00
Space group R-3m (No. 166, hexagonal axes)
Inequivalent atoms, fractional coordinates:
La: 0.0000 0.0000 0.2348 x6
La: 0.0078 0.5039 0.2340 x18
As: 0.0000 0.5000 0.5000 x9
Pt: 0.0000 0.0000 0.5000 x3
I: 0.0000 0.0000 0.0000 x3
I: 0.0000 0.5000 0.0000 x9

=====

# 4
Compound: La8AsRh3I4
Source: the Alexandria database
Functional: PBE-GGA
Structure: optimized geometry

* DOS at the Fermi energy: 0.73 states/eV per atom
* formation energy (no corrections): -1.0865 eV/atom

a b c (Å): 14.962 8.629 9.553
angles (deg): 90.00 121.48 90.00
Space group C2/m (No. 12)
Inequivalent atoms, fractional coordinates:
La: 0.024 0.239 0.311 x8
La: 0.230 0.000 0.689 x4
La: 0.237 0.500 0.688 x4
As: 0.000 0.500 0.500 x2
Rh: 0.000 0.000 0.500 x2
Rh: 0.250 0.250 0.500 x4
I: 0.000 0.000 0.000 x2
I: 0.000 0.500 0.000 x2
I: 0.250 0.250 0.000 x4

=====

# 5
-- stop --
Causes of Gout
The abundance of uric acid in the body causes gout. The urate crystals gather in your joints causing inflammation and swelling. Uric acid is produced by the body when it breaks down Purines, a substance found in our meals.
Under normal circumstances, uric acid dissolves in our blood and passes through the kidney and into the urine. But, sometimes due to the overproduction of uric acid by the body or little excretion of uric acid by the kidneys, the level of uric acid shoots up from the normal range.
This causes a large quantity of urate crystal deposits around the affected joints.

Risk Factors of Gout
Gout occurs because of high levels of uric acid. Some of the factors which can increase uric acid levels in boys are:
- Unbalanced diet - diets rich in Fructose (sugar, like beverages), meat, and seafood can increase uric acid.
- Alcohol - alcohol consumption and beer can also increase the risks of gout.
- Obesity - if you’re overweight, your kidneys are under extra pressure and sometimes they do not function as effectively as they would do for a nonobese person. Kidneys do not excrete enough uric acid which starts depositing in the body.
- Medical Conditions - underlying medical conditions like blood pressure, diabetes, heart and kidney diseases, and other digestive issues can lead to an imbalance in uric acid which increases the risks of gout.
- Medication - certain medications like anti-rejection drugs and medicines used to treat hypertension can also increase uric acid levels in the body.
- Family history - even if you initially have no sign of gout but have a family history of gout, you should be very cautious about your diet and physical well-being.
- Age and gender - men usually have higher levels of uric acid and men are likely to be more affected by this. Men aged between 30-50 show a higher tendency to fall prey to his disease. Women after menopause, develop larger uric acid levels which lead to gout in some cases.
- Exposure to recent surgery or trauma - exposure to recent surgery or trauma is also associated with increasing the risks of a gout attack.
Gout occurs because of high levels of uric acid. Some of the factors which can increase uric acid levels in boys are:
- Unbalanced diet - diets rich in Fructose (sugar, like beverages), meat, and seafood can increase uric acid.
- Alcohol - alcohol consumption and beer can also increase the risks of gout.
- Obesity - if you’re overweight, your kidneys are under extra pressure and sometimes they do not function as effectively as they would do for a nonobese person. Kidneys do not excrete enough uric acid which starts depositing in the body.
- Medical Conditions - underlying medical conditions like blood pressure, diabetes, heart and kidney diseases, and other digestive issues can lead to an imbalance in uric acid which increases the risks of gout.
- Medication - certain medications like anti-rejection drugs and medicines used to treat hypertension can also increase uric acid levels in the body.
- Family history - even if you initially have no sign of gout but have a family history of gout, you should be very cautious about your diet and physical well-being.
- Age and gender - men usually have higher levels of uric acid and men are likely to be more affected by this. Men aged between 30-50 show a higher tendency to fall prey to his disease. Women after menopause, develop larger uric acid levels which lead to gout in some cases.
- Exposure to recent surgery or trauma - exposure to recent surgery or trauma is also associated with increasing the risks of a gout attack.

[Misplaced crystal structures]
# Y5Cr meta-GGA SCAN single point on PBEsol structure
data_Y5Cr
_cell_length_a 8.9388
_cell_length_b 8.9388
_cell_length_c 8.9388
_cell_angle_alpha 90.00
_cell_angle_beta 90.00
_cell_angle_gamma 90.00
_space_group_name_H-M_alt 'F -4 3 m'
_space_group_IT_number 216
_space_group_name_Hall 'F -4 2 3'
loop_
_atom_site_label
_atom_site_fract_x
_atom_site_fract_y
_atom_site_fract_z
Y1 0.0000 0.0000 0.0000
Y2 0.1251 0.1251 0.6251
Cr1 0.2500 0.2500 0.2500
# Electronic total energy = -619.4 eV/cell
# Energy of formation from the pure elements = 2.74 eV per formula unit
# Spin magnetization = 20.57 μB/cell
# Mass density = 4.62 g cm⁻³

***

# Sc2TcOs meta-GGA SCAN single point on PBEsol structure
data_Sc2TcOs
_cell_length_a 3.1525
_cell_length_b 4.2882
_cell_length_c 4.7711
_cell_angle_alpha 90.00
_cell_angle_beta 90.00
_cell_angle_gamma 90.00
_space_group_name_H-M_alt 'P m m m'
_space_group_IT_number 47
_space_group_name_Hall '-P 2 2'
loop_
_atom_site_label
_atom_site_fract_x
_atom_site_fract_y
_atom_site_fract_z
Sc1 0.0000 0.0000 0.0000
Sc2 0.5000 0.0000 0.5000
Tc1 0.0000 0.5000 0.5000
Os1 0.5000 0.5000 0.0000
# Electronic total energy = -136.1 eV/cell
# Energy of formation from the pure elements = -0.67 eV per formula unit
# Spin magnetization = 0.00 μB/cell
# Mass density = 9.74 g cm⁻³

***

# Na3YIn meta-GGA SCAN single point on PBEsol structure
data_Na3YIn
_cell_length_a 5.6138
_cell_length_b 5.6138
_cell_length_c 5.6138
_cell_angle_alpha 90.00
_cell_angle_beta 90.00
_cell_angle_gamma 90.00
_space_group_name_H-M_alt 'P m -3 m'
_space_group_IT_number 221
_space_group_name_Hall '-P 4 2 3'
loop_
_atom_site_label
_atom_site_fract_x
_atom_site_fract_y
_atom_site_fract_z
Na1 0.0000 0.0000 0.5000
Y1 0.5000 0.5000 0.5000
In1 0.0000 0.0000 0.0000
# Electronic total energy = -71.6 eV/cell
# Energy of formation from the pure elements = 2.28 eV per formula unit
# Spin magnetization = 0.17 μB/cell
# Mass density = 2.56 g cm⁻³

***

# SrMo2Pb meta-GGA SCAN single point on PBEsol structure
data_SrMo2Pb
_cell_length_a 3.6954
_cell_length_b 3.6954
_cell_length_c 6.9012
_cell_angle_alpha 90.00
_cell_angle_beta 90.00
_cell_angle_gamma 90.00
_space_group_name_H-M_alt 'P 4/m m m'
_space_group_IT_number 123
_space_group_name_Hall '-P 4 2'
loop_
_atom_site_label
_atom_site_fract_x
_atom_site_fract_y
_atom_site_fract_z
Sr1 0.0000 0.0000 0.0000
Mo1 0.5000 0.5000 0.3329
Pb1 0.0000 0.0000 0.5000
# Electronic total energy = -164.8 eV/cell
# Energy of formation from the pure elements = 3.02 eV per formula unit
# Spin magnetization = 0.74 μB/cell
# Mass density = 8.58 g cm⁻³
[End of the crystal structures]
While there is no guaranteed way to prevent gout, there are some lifestyle changes you can make that may help reduce your risk of developing the condition:
- Maintain a healthy weight: Being overweight or obese can increase your risk of developing gout, so it is important to maintain a healthy weight through a balanced diet and regular exercise.
- Stay hydrated: Drinking plenty of water can help prevent gout attacks by flushing out excess uric acid from your body.
- Limit alcohol consumption: Alcohol can increase the production of uric acid in the body and make it harder for your body to eliminate it, so it is recommended to limit your alcohol intake or avoid it altogether.
- Avoid purine-rich foods: Purines are substances found in certain foods that can increase the amount of uric acid in your body. Foods to avoid or limit include red meat, organic meats, seafood, and certain vegetables like asparagus and mushrooms.
- Take medications as prescribed: If you have been diagnosed with gout, it is important to take any medications prescribed by your doctor as directed to manage your symptoms and prevent future attacks.
- Get regular check-ups: Regular visits to your doctor can help identify and manage any underlying health conditions that may increase your risk of developing gout.
Remember, prevention is always better than cure. If you have a family history of gout or are experiencing any symptoms, it is important to talk to a rheumatologist/ podiatrist for guidance on how to reduce your risk of developing the condition.

Diagnosing gout usually involves a combination of medical history, physical examination, and laboratory tests. Here are some of the common methods used for diagnosing gout:
- Medical history: Your doctor will ask you about your symptoms and medical history, including any family history of gout or other medical conditions that may increase your risk of developing the condition.
- Physical examination: During a physical examination, your doctor may look for signs of gout, such as redness, swelling, and tenderness in the affected joint. They may also check for the presence of tophi, which are deposits of uric acid crystals that can form under the skin.
- Joint fluid analysis: A sample of fluid may be taken from the affected joint and examined under a microscope to look for uric acid crystals. If uric acid crystals are present in the joint fluid, it is a strong indication of gout.
- Blood tests: A blood test can measure the level of uric acid in your blood. However, it's important to note that a high level of uric acid in your blood does not necessarily mean that you have gout, as some people with high levels of uric acid never develop gout.
- X-rays or imaging tests: These tests can help your doctor rule out other possible causes of joint pain and inflammation, such as fractures or osteoarthritis.
## Records of crystals, as found in the file
~~~
No. 1
DFT (GGA-PBE) results for Ce8CoC3Cl4 after structural relaxation.

Output
As for the space group: No. 166.

Geometry as extended XYZ:
```
16
Lattice="3.774 2.179 7.007 -3.774 2.179 7.007 0.000 -4.358 7.007" Properties=species:S:1:pos:R:3 pbc="T T T"
Ce -1.973 -1.139 11.894
Ce 0.000 0.000 4.899
Ce 0.000 -2.278 9.126
Ce -1.973 1.139 9.126
Ce 1.973 -1.139 11.894
Ce 0.000 2.278 11.894
Ce 0.000 0.000 16.122
Ce 1.973 1.139 9.126
Co 0.000 0.000 10.510
C -3.774 0.000 10.510
C -1.887 1.089 3.503
C 1.887 1.089 3.503
Cl 0.000 0.000 0.000
Cl -1.887 -1.089 7.007
Cl -1.887 1.089 14.014
Cl 0.000 2.179 7.007
```



No. 2
DFT (GGA-PBE) results for Ce6C3ClF2 after structural relaxation.

Output
As for the space group: No. 12.

Geometry as extended XYZ:
```
12
Lattice="8.208 -1.842 0.000 8.208 1.842 0.000 -2.053 0.000 7.298" Properties=species:S:1:pos:R:3 pbc="T T T"
Ce -0.410 0.000 1.646
Ce 4.435 0.000 3.114
Ce 3.727 0.000 6.573
Ce 10.637 0.000 0.725
Ce 9.928 0.000 4.184
Ce 14.773 0.000 5.652
C 2.033 0.000 2.414
C 8.208 0.000 0.000
C 12.331 0.000 4.884
Cl 7.182 0.000 3.649
F 1.079 0.000 6.127
F 13.284 0.000 1.171
```



Per-record total DFT energy (no corrections), eV/cell: -104.0 -84.2
Per-record ΔE_f (raw), meV per atom: -900 -1276
Per-record magnetic moment, μB per formula unit: 5.54 0.42

~~~~~

# ScW

A relaxed structure of ScW (GGA-PBE, Alexandria via LeMat-Bulk).

Values from the calculation:
Calculated volume in Å³/f.u.: 40.8
Total magnetic moment in μB per formula unit: 0.00

a = 10.0972 Å, b = 10.0972 Å, c = 2.7733 Å
α = 90.00°, β = 90.00°, γ = 120.00°
Space group P6_3/m (No. 176)
Asymmetric unit:
Sc  0.0687  0.3140  0.2500
W  0.1521  0.6170  0.2500

***

# Sc2W3

A relaxed structure of Sc2W3 (GGA-PBE, Alexandria via LeMat-Bulk).

Values from the calculation:
Calculated volume in Å³/f.u.: 97.5
Total magnetic moment in μB per formula unit: 0.00

a = 9.8273 Å, b = 14.3204 Å, c = 5.5445 Å
α = 90.00°, β = 90.00°, γ = 90.00°
Space group Fdd2 (No. 43)
Asymmetric unit:
Sc  0.0652  0.3036  0.0000
W  0.0000  0.0000  0.3107
W  0.0699  0.3871  0.4864

***

# Sc4W3

A relaxed structure of Sc4W3 (GGA-PBE, Alexandria via LeMat-Bulk).

Values from the calculation:
Calculated volume in Å³/f.u.: 142.6
Total magnetic moment in μB per formula unit: 0.00

a = 3.2456 Å, b = 3.2456 Å, c = 27.0686 Å
α = 90.00°, β = 90.00°, γ = 90.00°
Space group I4/mmm (No. 139)
Asymmetric unit:
Sc  0.0000  0.0000  0.0624
Sc  0.0000  0.0000  0.3415
W  0.0000  0.0000  0.2241
W  0.0000  0.0000  0.5000

***

# Sc5W

A relaxed structure of Sc5W (GGA-PBE, Alexandria via LeMat-Bulk).

Values from the calculation:
Calculated volume in Å³/f.u.: 132.0
Total magnetic moment in μB per formula unit: 0.00

a = 5.0223 Å, b = 3.1279 Å, c = 16.8030 Å
α = 90.00°, β = 90.00°, γ = 90.00°
Space group Amm2 (No. 38)
Asymmetric unit:
Sc  0.0000  0.0000  0.0000
Sc  0.0000  0.0000  0.3071
Sc  0.5000  0.0000  0.2091
Sc  0.5000  0.0000  0.5542
Sc  0.5000  0.0000  0.8831
W  0.0000  0.0000  0.6532

***
~~~
If you are experiencing symptoms of gout, such as sudden and severe joint pain, it is important to seek medical attention. Your doctor can help determine the cause of your symptoms and develop an appropriate treatment plan.
Treatment of Gout | When to Consult a Doctor
It is extremely important to get yourself checked and treated if you think you have potential signs of gout. Untreated gout can cause permanent damage to your joints. The treatment depends upon the severity and stage of gout.
Gout is diagnosed during a flare - a condition when your joint is inflamed, swollen, and painful. Lab tests to determine the uric acid levels and X-rays to see the shape of the joint are also done.
It is treated through medication only followed by some lifestyle changes. Certain changes in lifestyle are eminent to live a healthy life.